(What to do)
Could you start at the top of the listing below and copy each line, ending with the one that has "-3.0701 4.9695"?
(Contents)
- - -
Entry 1:
Here is a cluster of 16 separate species, C24H56F3N17O31 in total in a non-equilibrium geometry from OMol25. Energies are from the ωB97M-V functional and the def2-TZVPD basis.

Structure (XYZ):
```
131
Properties=species:S:1:pos:R:3
C 3.8658 -0.0817 0.4932
C 3.4069 -1.3888 -0.2155
C 4.1554 -1.4426 -1.5264
N 4.5855 -1.3345 -2.5504
C 1.8847 -1.4314 -0.5587
C 1.7187 -2.4023 -1.7380
N 1.3457 -2.9678 -2.6285
C 0.9966 -1.9193 0.6220
C -0.5096 -1.8993 0.1993
O -1.2841 -1.0701 1.0621
C -2.0778 -0.1335 0.3872
C -1.4347 1.2987 0.4738
F -0.2844 1.1920 1.1450
F -2.2247 2.1731 1.0643
F -1.1250 1.7885 -0.7329
H 4.2460 -0.2523 1.5085
H 4.7187 0.3352 -0.0635
H 3.0947 0.7030 0.5020
H 3.7453 -2.2703 0.3461
H 1.5844 -0.4146 -0.8482
H 1.0573 -1.2674 1.5073
H 1.2572 -2.9479 0.9481
H -0.6349 -1.6860 -0.8728
H -0.8710 -2.9341 0.3404
H -3.0313 -0.0475 0.9360
H -2.3106 -0.3907 -0.6539
C -2.0901 0.9699 4.0684
N -1.6026 -0.0721 5.0101
O -0.4148 -0.3217 5.0119
O -2.4368 -0.6074 5.7181
H -1.2459 1.3528 3.5062
H -2.8143 0.4990 3.4063
H -2.5511 1.7632 4.6505
C 1.4514 -6.9505 -1.3995
N 0.6822 -6.1358 -0.4210
O -0.4554 -6.4786 -0.1730
O 1.2490 -5.1767 0.0626
H 0.8211 -7.7646 -1.7436
H 1.7267 -6.2949 -2.2224
H 2.3320 -7.3297 -0.8880
C -4.5549 -2.2411 3.4032
N -4.7189 -1.6299 2.0561
O -4.8461 -2.3744 1.1065
O -4.7144 -0.4122 1.9964
H -4.5791 -3.3201 3.2984
H -3.5982 -1.9105 3.8004
H -5.3773 -1.8919 4.0217
C -3.3934 3.8209 7.6572
N -3.5671 4.2623 6.2470
O -3.7303 3.4009 5.4005
O -3.5338 5.4539 6.0354
H -3.4458 2.7377 7.6909
H -2.4217 4.1740 7.9917
H -4.1949 4.2672 8.2396
C -3.1051 -7.0220 -2.0564
N -2.5333 -8.1836 -2.7884
O -1.8840 -8.9901 -2.1519
O -2.7579 -8.2464 -3.9813
H -2.8276 -7.0967 -1.0112
H -2.6949 -6.1188 -2.5010
H -4.1836 -7.0644 -2.1750
C -3.0701 4.9695 2.3459
N -2.4948 6.2481 1.8550
O -3.1389 7.2634 2.0308
O -1.4088 6.1913 1.3089
H -4.0305 5.1735 2.8071
H -3.1852 4.3114 1.4898
H -2.3734 4.5490 3.0649
C 3.4089 0.9977 -4.9537
N 4.1463 2.0476 -5.7017
O 4.5689 1.7701 -6.8059
O 4.2883 3.1215 -5.1465
H 3.3728 0.1002 -5.5616
H 3.9531 0.8160 -4.0300
H 2.4050 1.3710 -4.7484
C -5.4081 -10.7718 -3.5128
N -6.1967 -9.9688 -2.5383
O -7.3335 -10.3176 -2.3061
O -5.6353 -9.0104 -2.0411
H -6.0278 -11.5861 -3.8720
H -5.1232 -10.1103 -4.3269
H -4.5321 -11.1496 -2.9919
C -1.4609 2.9353 -4.4233
N -0.5744 1.7395 -4.4272
O 0.6011 1.9098 -4.1538
O -1.0859 0.6774 -4.7019
H -0.8686 3.8054 -4.1616
H -1.8784 3.0351 -5.4214
H -2.2411 2.7606 -3.6875
C 7.1426 4.4534 -4.9073
N 8.6091 4.2078 -4.9619
O 9.0814 3.4760 -4.1111
O 9.2297 4.7478 -5.8529
H 6.7310 3.9067 -4.0665
H 6.9887 5.5225 -4.7877
H 6.7188 4.0987 -5.8425
C -5.5042 8.4517 3.7124
N -6.8204 7.9017 4.1378
O -6.9780 7.6647 5.3193
O -7.6487 7.7264 3.2666
H -4.8710 8.5531 4.5873
H -5.0719 7.7557 3.0025
H -5.6875 9.4187 3.2517
C 8.7172 -0.6793 -2.5070
N 7.6433 -0.1572 -1.6213
O 7.3173 -0.8329 -0.6642
O 7.1616 0.9175 -1.9164
H 9.0478 -1.6378 -2.1224
H 8.2947 -0.7842 -3.5028
H 9.5285 0.0450 -2.4977
C 1.2629 4.2313 2.4954
N 0.4937 4.3514 3.7623
O 1.0452 4.8512 4.7154
O -0.6529 3.9333 3.7480
H 2.2551 4.6397 2.6532
H 1.3116 3.1749 2.2422
H 0.7250 4.7935 1.7351
C 11.2674 3.2571 -1.1207
N 12.0411 1.9858 -1.1501
O 13.2188 2.0359 -0.8646
O 11.4315 0.9796 -1.4605
H 11.9319 4.0634 -0.8297
H 10.8706 3.4220 -2.1202
H 10.4664 3.1342 -0.3969
C -8.2506 -3.6169 0.4902
N -9.0089 -3.4753 1.7628
O -8.4347 -2.9571 2.7030
O -10.1483 -3.8879 1.7723
H -7.2556 -3.2076 0.6314
H -8.2027 -4.6763 0.2527
H -8.7894 -3.0676 -0.2769
```

- electronic energy (eV) = -122710.320
- frontier orbital gap (hartree) = 0.3803
- multiplicity = 1
- relative energy (zero: lowest compared OMol25 entry of this formula, charge and spin) (kcal/mol) = 17.6
- F_max (eV Å⁻¹) = 5.672



Entry 2:
Here is a cluster of 5 separate species, C24H56N4O3 in total in a non-equilibrium geometry from OMol25. Energies are from the ωB97M-V functional and the def2-TZVPD basis.

Structure (XYZ):
```
87
Properties=species:S:1:pos:R:3
O -29.9793 -6.9542 28.0208
- - -
(Here it is)
Entry 1:
Here is a cluster of 16 separate species, C24H56F3N17O31 in total in a non-equilibrium geometry from OMol25. Energies are from the ωB97M-V functional and the def2-TZVPD basis.

Structure (XYZ):
```
131
Properties=species:S:1:pos:R:3
C 3.8658 -0.0817 0.4932
C 3.4069 -1.3888 -0.2155
C 4.1554 -1.4426 -1.5264
N 4.5855 -1.3345 -2.5504
C 1.8847 -1.4314 -0.5587
C 1.7187 -2.4023 -1.7380
N 1.3457 -2.9678 -2.6285
C 0.9966 -1.9193 0.6220
C -0.5096 -1.8993 0.1993
O -1.2841 -1.0701 1.0621
C -2.0778 -0.1335 0.3872
C -1.4347 1.2987 0.4738
F -0.2844 1.1920 1.1450
F -2.2247 2.1731 1.0643
F -1.1250 1.7885 -0.7329
H 4.2460 -0.2523 1.5085
H 4.7187 0.3352 -0.0635
H 3.0947 0.7030 0.5020
H 3.7453 -2.2703 0.3461
H 1.5844 -0.4146 -0.8482
H 1.0573 -1.2674 1.5073
H 1.2572 -2.9479 0.9481
H -0.6349 -1.6860 -0.8728
H -0.8710 -2.9341 0.3404
H -3.0313 -0.0475 0.9360
H -2.3106 -0.3907 -0.6539
C -2.0901 0.9699 4.0684
N -1.6026 -0.0721 5.0101
O -0.4148 -0.3217 5.0119
O -2.4368 -0.6074 5.7181
H -1.2459 1.3528 3.5062
H -2.8143 0.4990 3.4063
H -2.5511 1.7632 4.6505
C 1.4514 -6.9505 -1.3995
N 0.6822 -6.1358 -0.4210
O -0.4554 -6.4786 -0.1730
O 1.2490 -5.1767 0.0626
H 0.8211 -7.7646 -1.7436
H 1.7267 -6.2949 -2.2224
H 2.3320 -7.3297 -0.8880
C -4.5549 -2.2411 3.4032
N -4.7189 -1.6299 2.0561
O -4.8461 -2.3744 1.1065
O -4.7144 -0.4122 1.9964
H -4.5791 -3.3201 3.2984
H -3.5982 -1.9105 3.8004
H -5.3773 -1.8919 4.0217
C -3.3934 3.8209 7.6572
N -3.5671 4.2623 6.2470
O -3.7303 3.4009 5.4005
O -3.5338 5.4539 6.0354
H -3.4458 2.7377 7.6909
H -2.4217 4.1740 7.9917
H -4.1949 4.2672 8.2396
C -3.1051 -7.0220 -2.0564
N -2.5333 -8.1836 -2.7884
O -1.8840 -8.9901 -2.1519
O -2.7579 -8.2464 -3.9813
H -2.8276 -7.0967 -1.0112
H -2.6949 -6.1188 -2.5010
H -4.1836 -7.0644 -2.1750
C -3.0701 4.9695 2.3459